Universal Materials Texture Changer System
NEW: Blinn-Phong Only mode, so now you can use this for blinn-phong only, pbr only, or both at the same time, with either MENUS or HUD or both!
We changed our name! We've added so many features and functions to our "PBR" material texture changer, that we had to change the name!
Formerly it was called the PBR Materials Texture Changer System
Key Features:
- Handles PBR Materials, Blinn-Phong (Old style) Materials, or BOTH at the same time!
- Menu-driven or HUD-Based for furniture and clothing, or anything
- Change texture on rezzable objects and optionally synch with parent object
- Ability to modify EVERY GLTF and Blinn-Phong parameter
- Optionally auto-generate Blinn-Phong from PBR Base Color texture
- 4 Modes from simple to complex
- Security to restrict access to changer
- Scriptable API
ALL IN ONE!! PBR and NON-PBR Texture Changer with Menu or HUD operation!!
Personal Use vs Builder Version
The Personal Use Version is Free, but may not be distributed. It is COPY Yes/TRANS No.
Builder Version is not free. It can be distributed as either COPY YES/TRANS NO or COPY NO/TRANS YES. You must change it before you distribute it.
You get the following:
Universal Materials Texture Changer: Main Script v7.3
== Someone pasted records of crystals at this point ==
/*
Below is a relaxed Lu2GaCu crystal, with properties calculated at the PBE level.

Cell and atoms, written as POSCAR:
```
Lu2GaCu
1.0
0.000 3.452 3.452
3.452 0.000 3.452
3.452 3.452 0.000
Lu Ga Cu
2 1 1
Cartesian
5.178 5.178 5.178
1.726 1.726 1.726
3.452 3.452 3.452
0.000 0.000 0.000
```

Values from the calculation:
* ΔH_f (0 K): -0.45 eV/atom
* volume: 82 Å³/cell
* crystal system: cubic

Below is a relaxed LuGaCuO4 crystal, with properties calculated at the PBE level.

Cell and atoms, written as POSCAR:
```
LuGaCuO4
1.0
-5.717 -5.537 -2.271
-3.070 -6.291 -4.415
-3.110 -7.579 -1.173
Lu Ga Cu O
1 1 1 4
Cartesian
-11.862 -19.349 -7.836
-9.366 -15.277 -6.187
-2.522 -4.115 -1.666
-3.490 -5.692 -2.305
-8.434 -13.758 -5.572
-1.484 -2.420 -0.980
-10.321 -16.835 -6.818
```

Values from the calculation:
* ΔH_f (0 K): -2.48 eV/atom
* volume: 85 Å³/cell
* crystal system: trigonal

Below is a relaxed Mg6GaCu crystal, with properties calculated at the PBE level.

Cell and atoms, written as POSCAR:
```
Mg6GaCu
1.0
-1.077 0.791 4.719
-0.477 -6.018 0.900
10.335 -0.455 2.435
Mg Ga Cu
12 2 2
Cartesian
0.535 -4.532 0.882
0.770 -1.565 0.438
3.442 -0.152 0.811
3.589 -1.350 3.594
3.359 -4.252 4.028
1.193 0.319 2.767
5.941 -1.750 1.649
5.699 -4.802 2.106
8.371 -3.388 2.478
8.518 -4.587 5.261
8.765 -1.470 4.795
6.122 -2.918 4.435
0.974 -2.691 3.222
6.380 0.091 3.989
3.223 -3.162 1.266
8.629 -0.380 2.033
```

Values from the calculation:
* ΔH_f (0 K): 0.00 eV/atom
* volume: 318 Å³/cell

Below is a relaxed Mg2Ga5Cu6 crystal, with properties calculated at the PBE level.

Cell and atoms, written as POSCAR:
```
Mg2Ga5Cu6
1.0
8.298 0.000 0.000
0.000 8.298 0.000
0.000 0.000 8.298
Mg Ga Cu
6 15 18
Cartesian
6.795 0.000 4.149
0.000 4.149 6.795
4.149 6.795 0.000
0.000 4.149 1.503
4.149 1.503 0.000
1.503 0.000 4.149
2.340 5.958 2.340
5.958 2.340 2.340
2.340 2.340 5.958
5.958 5.958 5.958
5.958 2.340 5.958
2.340 5.958 5.958
5.958 5.958 2.340
2.340 2.340 2.340
5.505 4.149 0.000
4.149 0.000 5.505
0.000 5.505 4.149
4.149 0.000 2.793
0.000 2.793 4.149
2.793 4.149 0.000
0.000 0.000 0.000
0.000 6.940 2.139
0.000 1.358 6.160
0.000 6.940 6.160
1.358 6.160 0.000
6.160 0.000 6.940
6.160 0.000 1.358
6.940 2.139 0.000
2.139 0.000 6.940
6.940 6.160 0.000
2.283 4.149 4.149
4.149 2.283 4.149
4.149 4.149 2.283
4.149 6.015 4.149
4.149 4.149 6.015
6.015 4.149 4.149
0.000 1.358 2.139
2.139 0.000 1.358
1.358 2.139 0.000
```

Values from the calculation:
* ΔH_f (0 K): -0.19 eV/atom
* volume: 571 Å³/cell
* crystal system: cubic

Below is a relaxed Mg6GaCu crystal, with properties calculated at the PBE level.

Cell and atoms, written as POSCAR:
```
Mg6GaCu
1.0
-0.698 -4.399 1.888
-0.430 -2.395 -5.737
10.295 -1.666 -0.076
Mg Ga Cu
12 2 2
Cartesian
0.413 -2.940 -0.499
0.198 -4.135 -3.363
9.286 -2.107 -1.476
9.066 -3.328 -4.400
1.556 -1.484 -2.882
6.672 -2.312 -2.919
5.345 -4.970 -3.405
5.560 -3.771 -0.532
3.923 -2.471 -4.306
4.134 -1.297 -1.494
6.919 -1.120 -0.051
1.740 -0.282 -0.013
8.009 -4.784 -1.988
*/
Universal Materials Texture Changer: LSD Loader V7.3
Universal Materials Texture Changer: Data Dump v7.3
These Instructions
API System includes:
Universal Materials Texture Changer: Object Prop Script v7.3
Universal Materials Texture Changer: Rezzed Prop Script v7.3
Universal Materials Texture Changer: API Instructions
HUD System includes:
Universal Materials Texture Changer: HUD Listener Script v7.3
Universal Materials Texture Changer: HUD Button Script v7.3
Example Hud
Example Clothing Item
Universal Materials Texture Changer: HUD System Instructions
- Builder Edition - Use in your products, now with API and Rezzed Object support
- HUD or Menu Driven Texture Changer!!!!
- Texture Changer for BOTH PBR and nonPBR materials IN ONE
- Automatic generation of fallback Diffuse texture, if desired
- Option to Encode Texture IDs. Uses persistent LSD data
Game Changer
This great product is going to change the way SL works with PBR. Customer service is always above and beyond any other creatorn I have met.
an important part of your business
I have had this for over a year now and the development has expanded beyond my expectations. this has gone from a first of its kind tool, to a must have tool!!! and I know so much more to follow. the creator is extremely active in development and support and is very responsive. Create Huds or Menu system the options are invaluable. Highest of praises!!!!
Great Product & Customer Service
Bandor had to talk me through a few steps to get this working for me but once he had, it works like a dream, save yourself some money and get this PBR texture changer
Very easy to set up with clear instructions highly recommend.
Exactly what I needed
The creator is really on top of things and does an excellent job keeping up with developments regarding PBR.